**Wanted**
Transcribe everything underneath verbatim.
**Source**
Si2AuSe | PBE-GGA | optimized geometry

Cell and atoms, written as POSCAR:
```
Si2AuSe
1.0
6.2935 0.0076 0.0031
4.0506 4.8168 -0.0031
-4.9454 -2.8981 2.5985
Au Se Si
1 1 2
Direct
0.4726 0.4726 0.0000
0.1769 0.6769 0.5000
0.0177 0.0177 0.0000
0.8328 0.3328 0.5000
```

## Properties
- Symmetry: Imm2 (44)

=====

Pm2PbIO8 | PBE-GGA | optimized geometry

Cell and atoms, written as POSCAR:
```
Pm2PbIO8
1.0
-0.7723 5.0139 -0.2326
-3.2252 -0.8374 -3.8326
-5.4645 -0.6221 4.7344
Pm Pb I O
2 1 1 8
Direct
0.5000 0.5000 0.7571
0.5000 0.5000 0.2429
0.0000 0.0000 0.5000
0.0000 0.0000 0.0000
0.1785 0.8207 0.1945
0.7299 0.7308 0.0000
0.8215 0.1793 0.1945
0.8215 0.1793 0.8055
0.2701 0.2692 0.0000
0.1785 0.8207 0.8055
0.6876 0.6884 0.5000
0.3124 0.3116 0.5000
```

## Properties
- Symmetry: Cmmm (65)

=====

Asked for theoretical density across the records above, the calculation gives 7.0; 6.7 g cm⁻³ in order.
Asked for V across the records above, the calculation gives 78.67; 187.07 Å³/cell in order.
Asked for formation energy (no corrections) across the records above, the calculation gives 272; -1728 meV per atom in order.

----------

[1]
## Ac3NpTl4Se8 (PBE)

Data for Ac3NpTl4Se8 after structural relaxation.

Geometry as POSCAR:
```
Ac3NpTl4Se8
1.0
9.000 0.000 0.000
0.000 9.287 0.195
-4.500 -4.496 6.368
Se Ac Tl Np
8 3 4 1
Direct
0.770 0.288 0.018 Se
0.770 0.288 0.539 Se
0.740 0.720 0.480 Se
0.752 0.712 0.982 Se
0.230 0.712 0.982 Se
0.260 0.280 0.520 Se
0.248 0.288 0.018 Se
0.230 0.712 0.461 Se
0.500 0.500 0.000 Ac
0.000 0.500 0.500 Ac
0.500 0.500 0.500 Ac
0.000 0.000 0.000 Tl
0.500 0.000 0.500 Tl
0.500 0.000 0.000 Tl
0.000 0.000 0.500 Tl
0.000 0.500 0.000 Np
```

Results
E_form (uncorrected) ... -1.289 eV/atom
DOS at the Fermi energy ... 0.265 states/eV/atom
Magnetization ... 4.0 μB/f.u.
SG ... No. 166
DFT total energy ... -5.202 eV per atom

=====

[2]
## Ac2TmNpSe6 (PBE)

Data for Ac2TmNpSe6 after structural relaxation.

Geometry as POSCAR:
```
Ac2TmNpSe6
1.0
7.582 0.000 0.000
3.791 6.566 0.000
3.791 2.189 6.542
Ac Np Se Tm
2 1 6 1
Direct
0.026 0.026 0.923 Ac
0.527 0.527 0.418 Ac
0.818 0.818 0.547 Np
0.681 0.102 0.767 Se
0.102 0.451 0.767 Se
0.592 0.187 0.261 Se
0.187 0.960 0.261 Se
0.960 0.592 0.261 Se
0.451 0.681 0.767 Se
0.319 0.319 0.044 Tm
```

Results
E_form (uncorrected) ... -1.702 eV/atom
DOS at the Fermi energy ... 0.639 states/eV/atom
Magnetization ... 4.0 μB/f.u.
SG ... No. 146
DFT total energy ... -6.355 eV per atom

=====

[3]
## AcNpSi (PBE)

Data for AcNpSi after structural relaxation.

Geometry as POSCAR:
```
AcNpSi
1.0
-1.247 -2.242 2.730
0.268 -2.043 -4.125
10.576 1.933 6.417
Np Ac Si
2 2 2
Direct
0.323 0.647 0.970 Np
0.677 0.353 0.030 Np
0.517 0.035 0.332 Ac
0.483 0.965 0.668 Ac
0.926 0.853 0.843 Si
0.074 0.147 0.157 Si
```

Results
E_form (uncorrected) ... -0.207 eV/atom
DOS at the Fermi energy ... 1.697 states/eV/atom
Magnetization ... 1.4 μB/f.u.
SG ... No. 12
DFT total energy ... -7.697 eV per atom

=====

[4]
## AcNpSi4 (PBE)

Data for AcNpSi4 after structural relaxation.

Geometry as POSCAR:
```
AcNpSi4
1.0
4.241 0.000 0.000
0.000 7.924 0.000
0.000 0.000 15.396
Si Np Ac
16 4 4
Direct
0.500 0.874 0.042 Si
0.500 0.874 0.452 Si
0.500 0.528 0.805 Si
0.500 0.472 0.195 Si
0.500 0.028 0.695 Si
0.500 0.374 0.048 Si
0.500 0.777 0.191 Si
0.500 0.626 0.542 Si
0.500 0.277 0.309 Si
0.500 0.972 0.305 Si
0.500 0.374 0.458 Si
0.500 0.223 0.809 Si
0.500 0.626 0.952 Si
0.500 0.723 0.691 Si
0.500 0.126 0.958 Si
0.500 0.126 0.548 Si
0.000 0.377 0.916 Np
0.000 0.123 0.416 Np
0.000 0.623 0.084 Np
0.000 0.877 0.584 Np
0.000 0.881 0.847 Ac
0.000 0.381 0.653 Ac
0.000 0.619 0.347 Ac
0.000 0.119 0.153 Ac
```

Results
E_form (uncorrected) ... -0.312 eV/atom
DOS at the Fermi energy ... 1.736 states/eV/atom
Magnetization ... 4.1 μB/f.u.
SG ... No. 55
DFT total energy ... -6.769 eV per atom

=====

[5]
## Ac3NpSn12 (PBE)

Data for Ac3NpSn12 after structural relaxation.

Geometry as POSCAR:
```
Ac3NpSn12
1.0
4.852 0.000 0.000
0.000 4.852 0.000
**Reply**
Si2AuSe | PBE-GGA | optimized geometry

Cell and atoms, written as POSCAR:
```
Si2AuSe
1.0
6.2935 0.0076 0.0031
4.0506 4.8168 -0.0031
-4.9454 -2.8981 2.5985
Au Se Si
1 1 2
Direct
0.4726 0.4726 0.0000
0.1769 0.6769 0.5000
0.0177 0.0177 0.0000
0.8328 0.3328 0.5000
```

## Properties
- Symmetry: Imm2 (44)

=====

Pm2PbIO8 | PBE-GGA | optimized geometry

Cell and atoms, written as POSCAR:
```
Pm2PbIO8
1.0
-0.7723 5.0139 -0.2326
-3.2252 -0.8374 -3.8326
-5.4645 -0.6221 4.7344
Pm Pb I O
2 1 1 8
Direct
0.5000 0.5000 0.7571
0.5000 0.5000 0.2429
0.0000 0.0000 0.5000
0.0000 0.0000 0.0000
0.1785 0.8207 0.1945
0.7299 0.7308 0.0000
0.8215 0.1793 0.1945
0.8215 0.1793 0.8055
0.2701 0.2692 0.0000
0.1785 0.8207 0.8055
0.6876 0.6884 0.5000
0.3124 0.3116 0.5000
```

## Properties
- Symmetry: Cmmm (65)

=====

Asked for theoretical density across the records above, the calculation gives 7.0; 6.7 g cm⁻³ in order.
Asked for V across the records above, the calculation gives 78.67; 187.07 Å³/cell in order.
Asked for formation energy (no corrections) across the records above, the calculation gives 272; -1728 meV per atom in order.

----------

[1]
## Ac3NpTl4Se8 (PBE)

Data for Ac3NpTl4Se8 after structural relaxation.

Geometry as POSCAR:
```
Ac3NpTl4Se8
1.0
9.000 0.000 0.000
0.000 9.287 0.195
-4.500 -4.496 6.368
Se Ac Tl Np
8 3 4 1
Direct
0.770 0.288 0.018 Se
0.770 0.288 0.539 Se
0.740 0.720 0.480 Se
0.752 0.712 0.982 Se
0.230 0.712 0.982 Se
0.260 0.280 0.520 Se
0.248 0.288 0.018 Se
0.230 0.712 0.461 Se
0.500 0.500 0.000 Ac
0.000 0.500 0.500 Ac
0.500 0.500 0.500 Ac
0.000 0.000 0.000 Tl
0.500 0.000 0.500 Tl
0.500 0.000 0.000 Tl
0.000 0.000 0.500 Tl
0.000 0.500 0.000 Np
```

Results
E_form (uncorrected) ... -1.289 eV/atom
DOS at the Fermi energy ... 0.265 states/eV/atom
Magnetization ... 4.0 μB/f.u.
SG ... No. 166
DFT total energy ... -5.202 eV per atom

=====

[2]
## Ac2TmNpSe6 (PBE)

Data for Ac2TmNpSe6 after structural relaxation.

Geometry as POSCAR:
```
Ac2TmNpSe6
1.0
7.582 0.000 0.000
3.791 6.566 0.000
3.791 2.189 6.542
Ac Np Se Tm
2 1 6 1
Direct
0.026 0.026 0.923 Ac
0.527 0.527 0.418 Ac
0.818 0.818 0.547 Np
0.681 0.102 0.767 Se
0.102 0.451 0.767 Se
0.592 0.187 0.261 Se
0.187 0.960 0.261 Se
0.960 0.592 0.261 Se
0.451 0.681 0.767 Se
0.319 0.319 0.044 Tm
```

Results
E_form (uncorrected) ... -1.702 eV/atom
DOS at the Fermi energy ... 0.639 states/eV/atom
Magnetization ... 4.0 μB/f.u.
SG ... No. 146
DFT total energy ... -6.355 eV per atom

=====

[3]
## AcNpSi (PBE)

Data for AcNpSi after structural relaxation.

Geometry as POSCAR:
```
AcNpSi
1.0
-1.247 -2.242 2.730
0.268 -2.043 -4.125
10.576 1.933 6.417
Np Ac Si
2 2 2
Direct
0.323 0.647 0.970 Np
0.677 0.353 0.030 Np
0.517 0.035 0.332 Ac
0.483 0.965 0.668 Ac
0.926 0.853 0.843 Si
0.074 0.147 0.157 Si
```

Results
E_form (uncorrected) ... -0.207 eV/atom
DOS at the Fermi energy ... 1.697 states/eV/atom
Magnetization ... 1.4 μB/f.u.
SG ... No. 12
DFT total energy ... -7.697 eV per atom

=====

[4]
## AcNpSi4 (PBE)

Data for AcNpSi4 after structural relaxation.

Geometry as POSCAR:
```
AcNpSi4
1.0
4.241 0.000 0.000
0.000 7.924 0.000
0.000 0.000 15.396
Si Np Ac
16 4 4
Direct
0.500 0.874 0.042 Si
0.500 0.874 0.452 Si
0.500 0.528 0.805 Si
0.500 0.472 0.195 Si
0.500 0.028 0.695 Si
0.500 0.374 0.048 Si
0.500 0.777 0.191 Si
0.500 0.626 0.542 Si
0.500 0.277 0.309 Si
0.500 0.972 0.305 Si
0.500 0.374 0.458 Si
0.500 0.223 0.809 Si
0.500 0.626 0.952 Si
0.500 0.723 0.691 Si
0.500 0.126 0.958 Si
0.500 0.126 0.548 Si
0.000 0.377 0.916 Np
0.000 0.123 0.416 Np
0.000 0.623 0.084 Np
0.000 0.877 0.584 Np
0.000 0.881 0.847 Ac
0.000 0.381 0.653 Ac
0.000 0.619 0.347 Ac
0.000 0.119 0.153 Ac
```

Results
E_form (uncorrected) ... -0.312 eV/atom
DOS at the Fermi energy ... 1.736 states/eV/atom
Magnetization ... 4.1 μB/f.u.
SG ... No. 55
DFT total energy ... -6.769 eV per atom

=====

[5]
## Ac3NpSn12 (PBE)

Data for Ac3NpSn12 after structural relaxation.

Geometry as POSCAR:
```
Ac3NpSn12
1.0
4.852 0.000 0.000
0.000 4.852 0.000